The Relationship Centre

5 Steps to Relieve COVID Fatigue

<<<
[1]
KRbHgSb | PBE | optimized geometry

```
data_KRbHgSb
_chemical_formula_sum 'K1 Rb1 Hg1 Sb1'
_symmetry_space_group_name_H-M 'P 1 m 1'
_symmetry_Int_Tables_number 6
_cell_length_a 5.920
_cell_length_b 5.575
_cell_length_c 6.673
_cell_angle_alpha 90.00
_cell_angle_beta 91.32
_cell_angle_gamma 90.00
loop_
_symmetry_equiv_pos_as_xyz
'x,y,z'
'x,-y,z'
loop_
_atom_site_label
_atom_site_fract_x
_atom_site_fract_y
_atom_site_fract_z
_atom_site_occupancy
K1 0.000 0.000 0.000 1
Rb1 0.442 0.000 0.520 1
Hg1 0.734 0.500 0.226 1
Sb1 0.237 0.500 0.219 1
```

Summary:
Total DFT energy (no corrections) ... -1.830 eV per atom
Polymorph energy (0 for the lowest one) ... 39 meV per atom
Formation energy without anion corrections ... -0.83 eV per formula unit



[2]
KRb2HgSe | PBE | optimized geometry

```
data_KRb2HgSe
_chemical_formula_sum 'K1 Rb2 Hg1 Se1'
_symmetry_space_group_name_H-M 'P 4/m m m'
_symmetry_Int_Tables_number 123
_symmetry_space_group_name_Hall '-P 4 2'
_cell_length_a 7.127
_cell_length_b 7.127
_cell_length_c 5.399
_cell_angle_alpha 90.00
_cell_angle_beta 90.00
_cell_angle_gamma 90.00
loop_
_atom_site_label
_atom_site_fract_x
_atom_site_fract_y
_atom_site_fract_z
_atom_site_occupancy
K1 0.000 0.000 0.000 1
Rb1 0.000 0.500 0.500 1
Hg1 0.500 0.500 0.500 1
Se1 0.500 0.500 0.000 1
```

Summary:
Total DFT energy (no corrections) ... -1.602 eV per atom
Polymorph energy (0 for the lowest one) ... 352 meV per atom
Formation energy without anion corrections ... -1.19 eV per formula unit



[3]
KRb2HgSe | PBE | optimized geometry

```
data_KRb2HgSe
_chemical_formula_sum 'K1 Rb2 Hg1 Se1'
_symmetry_space_group_name_H-M 'P 4/m m m'
_symmetry_Int_Tables_number 123
_symmetry_space_group_name_Hall '-P 4 2'
_cell_length_a 6.663
_cell_length_b 6.663
_cell_length_c 6.293
_cell_angle_alpha 90.00
_cell_angle_beta 90.00
_cell_angle_gamma 90.00
loop_
_atom_site_label
_atom_site_fract_x
_atom_site_fract_y
_atom_site_fract_z
_atom_site_occupancy
K1 0.000 0.000 0.000 1
Rb1 0.000 0.500 0.500 1
Hg1 0.500 0.500 0.000 1
Se1 0.000 0.000 0.500 1
```

Summary:
Total DFT energy (no corrections) ... -1.954 eV per atom
Polymorph energy (0 for the lowest one) ... 0 meV per atom
Formation energy without anion corrections ... -2.95 eV per formula unit



[4]
KRbHgSe2 | PBE | optimized geometry

```
data_KRbHgSe2
_chemical_formula_sum 'K4 Rb4 Hg4 Se8'
_symmetry_space_group_name_H-M 'C m m e'
_symmetry_Int_Tables_number 67
_symmetry_space_group_name_Hall '-C 2a 2'
_cell_length_a 7.846
_cell_length_b 15.859
_cell_length_c 6.404
_cell_angle_alpha 90.00
_cell_angle_beta 90.00
_cell_angle_gamma 90.00
loop_
_atom_site_label
_atom_site_fract_x
_atom_site_fract_y
_atom_site_fract_z
_atom_site_occupancy
K1 0.250 0.000 0.000 1
Rb1 0.000 0.250 0.284 1
Hg1 0.000 0.000 0.500 1
Se1 0.000 0.125 0.732 1
```

Summary:
Total DFT energy (no corrections) ... -2.669 eV per atom
Formation energy without anion corrections ... -4.01 eV per formula unit



[5]
K2RbHgSe | PBE | optimized geometry

```
>>>

It is even possible to find relief from COVID-19 Fatigue? The answer is YES.

And here is a simple guide for you to follow.

The 3 Key Approaches for Relief

Think: Train your mind and manage what you are thinking (cognitive therapy)
Act: Do life-giving activities (behavioural activation)
Be: Practice present moment awareness and openness (mindfulness)

The 5 Steps to Relief

These steps put the 3 approaches above – Think – Act – Be – into action to create movement towards symptom relief. Give them a try to see what they can do for you. 

1) Check-in with What You are Thinking – our minds are constantly telling us stories. And when we are feeling down, the stories tend to be really negative:

  • Nothing I ever do is good enough.
  • I am such a failure.
  • This is too hard; I am never going to figure this out.
  • I am hopeless.

These statements are not true; however, if you struggle with depression they feel like the absolute truth. If you struggle with thoughts like these, you do not have to convince yourself these stories are fiction – rather, simply remind yourself that they are a creation of your mind. And there are alternative stories that are not so disheartening, and that are likely more accurate.

Put It Into Practice: Notice your thoughts especially when you are feeling down. What are you telling yourself? What statements are you making about yourself? Write it down. Now – this is really important, cross out that statement and replace it with one that is more accurate.

For example: (Instead of) “I am such a failure.” (Replace with) “I have had some failures but I have also had some successes too.”

2) Move Your Body – research has long shown that exercise is an effective treatment to reduce depression symptoms. Walking, yoga, lifting weights, dancing, Pilates or just about any other physical activity will help boost your mood.

Put It Into Practice: Start small, but start. Make a plan to move your body in a way that works for you, and ideally doesn’t feel like a terrible chore. Choose something you like and start with 5 or 10 minutes a day. Or if you are already moving your body, add an extra 5 -10 minutes to what you are already doing. 

3) Prioritize Your Sleep – “sleep is king” – that is something I tell all of my clients. It is a simple fact that without adequate sleep we do not cope well. And it doesn’t matter who we are, poor sleep leaves us irritable and overwhelmed with simple tasks.

It is important to take steps to create a good wind-down routine in the evening to prepare your body and brain for sleep. Step away from all screens at least one hour before bed, do something calming in the last hour before bed, and keep a consistent bedtime and wake-up time.

Put It Into Practice: Consider one small step you can take to improve your sleep and practice it consistently for at least two weeks to evaluate how helpful it is to your sleep. 

4) Be With People – it has been said that good relationships are antidepressants. We are wired for connection to others, so this makes sense. Aim to spend time with those you love. Our current reality calls for creativity so it may be a phone or video chat, or perhaps a socially distanced walk if you live close enough.

Put It Into Practice: Make a point to talk to a friend or family member outside of your household a few times each week.

5) Be Open to the Present – Be in the moment. Being present isn’t just about not living in the future – it is really about coming home to yourself, in the here and now. We really only exist in the present. There is a simple mantra I love. It is spoken softly, slowly, and calmly: I – am – fine. If you are in a space where you are physically safe, and your basic needs are met then this statement is true.

Put It Into Practice: Find a mantra that resonates with you and helps you be in the moment. During times when you find yourself living in the past or worrying about the future, say your mantra several times to help bring you back to the present.

<<<
Compound: SiNi4Ge
Source: the Alexandria database
Functional: PBE
Structure: optimized geometry

Values from the calculation:
VASP energy   -5.958 eV/atom
Total moment   0.00 μB/f.u.
E_form (uncorrected)   -430.7 meV per atom
DOS(E_F)   0.228 states/eV/atom
Symmetry   Pnma, No. 62
Polymorph energy (0 for the lowest one)   0.0 meV per atom

Geometry as POSCAR:
```
SiNi4Ge
1.0
2.9295 0.0000 0.0000
0.0000 6.3678 0.0000
0.0000 0.0000 14.9900
Si Ni Ge
4 16 4
direct
0.7500 0.2505 0.4419
0.2500 0.7495 0.5581
0.2500 0.2495 0.9419
0.7500 0.7505 0.0581
0.7500 0.8769 0.6630
0.2500 0.1231 0.3370
0.2500 0.6231 0.1630
0.7500 0.3769 0.8370
0.7500 0.8813 0.4450
0.2500 0.1187 0.5550
0.2500 0.6187 0.9450
0.7500 0.3813 0.0550
0.7500 0.9695 0.9333
0.2500 0.0305 0.0667
0.2500 0.5305 0.4333
0.7500 0.4695 0.5667
0.7500 0.9464 0.2040
0.2500 0.0536 0.7960
0.2500 0.5536 0.7040
0.7500 0.4464 0.2960
0.7500 0.7394 0.8117
0.2500 0.2606 0.1883
0.2500 0.7606 0.3117
0.7500 0.2394 0.6883
```

* * * * *

The following is a PBE-GGA calculation of a geometry-optimized Pr3Ag2Sn structure, from Alexandria via LeMat-Bulk.

Cell lengths 3.8390, 5.3890, 8.5875 Å; angles 108.29, 90.00, 90.00 degrees
Last column: nearest neighbours and their distance in Å.
Fractional coordinates of all 6 atoms:
Ag 0.0000 0.3294 0.6588  8 Pr 3.26-3.38
Ag 0.0000 0.6706 0.3412  8 Pr 3.26-3.38
Pr 0.5000 0.8320 0.6639  6 Ag 3.26-3.31, 2 Sn 3.35
Pr 0.5000 0.1680 0.3361  6 Ag 3.26-3.31, 2 Sn 3.35
Pr 0.5000 0.5000 0.0000  4 Sn 3.31, 4 Ag 3.38
Sn 0.0000 0.0000 0.0000  8 Pr 3.31-3.35

Formation energy = -0.3964 eV per atom
Crystal system = orthorhombic

The following is a PBE-GGA calculation of a geometry-optimized ZnRe2Cl structure, from Alexandria via LeMat-Bulk.

Cell lengths 5.6124, 5.6124, 4.2490 Å; angles 86.73, 86.73, 29.09 degrees
Last column: nearest neighbours and their distance in Å.
Fractional coordinates of all 4 atoms:
Re 0.4558 0.4558 0.5198  1 Cl 2.57, 6 Re 2.64-2.82, 2 Zn 2.77
Re 0.0442 0.0442 0.9802  1 Cl 2.57, 6 Re 2.64-2.82, 2 Zn 2.77
Zn 0.7500 0.7500 0.7500  4 Cl 2.55, 4 Re 2.77, 2 Zn 2.82
Cl 0.2500 0.2500 0.2500  4 Zn 2.55, 2 Re 2.57, 2 Cl 2.82

Excess energy over the best structure of this formula in the dataset = 55.7 kJ per mole of atoms
Crystal system = monoclinic
Formation energy (no corrections) = 0.651 eV/atom

The following is a PBE-GGA calculation of a geometry-optimized Y4Mg structure, from Alexandria via LeMat-Bulk.

Cell lengths 3.6191, 3.6191, 11.9598 Å; angles 98.70, 98.70, 90.00 degrees
Last column: nearest neighbours and their distance in Å.
Fractional coordinates of all 5 atoms:
Y 0.4094 0.4094 0.8188  4 Mg 3.32, 8 Y 3.56-3.62
Y 0.5906 0.5906 0.1812  4 Mg 3.32, 8 Y 3.56-3.62
Y 0.1965 0.1965 0.3930  12 Y 3.56-3.62
Y 0.8035 0.8035 0.6070  12 Y 3.56-3.62
Mg 0.0000 0.0000 0.0000  8 Y 3.32, 4 Mg 3.62

Formation energy = -0.0228 eV per atom
Excess energy over the best structure of this formula in the dataset = 0.0 kJ per mole of atoms
Crystal system = tetragonal
>>>

These are stressful times and more than anything, be kind to yourself – now and always. You deserve this.

If you need support to put these steps into practice, we have a team of caring and compassionate therapists ready to help.

by: Mary Joan Brinson MSW, RSW